Hi! I have done some test-work on printconf package with Polish translation. When I added the po.pl and then tried to commit all I got was: --- #> cd printconf/po/ #> cvs add po.pl #> cvs ci -m "some comments" Testing pl.po... **** Access allowed: blasiu is in ACL for printconf/po. cvs server: failed to move `/usr/local/CVS/printconf/po/Attic/pl.po,v' out of the attic: Permission denied --- Please help, anyone?
Regards, blasiu@akron.wroc.pl
On Wed, 2004-04-14 at 19:38, Przemek Błaśkiewicz wrote:
Hi! I have done some test-work on printconf package with Polish translation. When I added the po.pl and then tried to commit all I got was:
#> cd printconf/po/ #> cvs add po.pl
It is just that you added the wrong file, it should be "pl.po" instead of "po.pl".
#> cvs ci -m "some comments" Testing pl.po... **** Access allowed: blasiu is in ACL for printconf/po. cvs server: failed to move `/usr/local/CVS/printconf/po/Attic/pl.po,v' out of the attic: Permission denied
Please help, anyone?
Regards, blasiu@akron.wroc.pl
Przemek Błaśkiewicz (blasiu@akron.wroc.pl) said:
#> cvs ci -m "some comments" Testing pl.po... **** Access allowed: blasiu is in ACL for printconf/po. cvs server: failed to move `/usr/local/CVS/printconf/po/Attic/pl.po,v' out of the attic: Permission denied
Hm, try now.
_Data records, as found in the file_
........
one.
Li7Co5O12 | GGA+U | optimized geometry Values from VASP.

The structure in Quantum ESPRESSO input format:
```
&SYSTEM
  ibrav = 0, nat = 24, ntyp = 3
/
ATOMIC_SPECIES
Li 6.94 Li.upf
Co 58.93 Co.upf
O 16.00 O.upf
CELL_PARAMETERS angstrom
2.900 0.000 0.000
-0.179 5.112 0.000
-0.990 -2.531 14.448
ATOMIC_POSITIONS angstrom
Li 1.779 -0.786 12.096
Li 1.468 0.831 2.323
Li -0.048 3.367 2.353
Li 1.549 2.560 7.223
Li 1.360 2.556 0.000
Li 0.182 0.021 7.225
Li 0.262 1.750 12.125
Co 1.666 0.875 9.662
Co 0.308 -1.681 9.649
Co 0.065 1.706 4.786
Co 1.422 4.262 4.800
Co 0.000 0.000 0.000
O 0.082 3.441 5.915
O 1.683 2.624 10.753
O 1.408 2.516 3.659
O -0.017 1.470 1.043
O 1.649 -0.860 8.534
O 1.747 1.111 13.406
O 0.117 1.675 8.543
O 0.047 -0.044 3.695
O 1.614 0.906 5.905
O 0.452 -1.770 13.399
O 1.279 4.351 1.050
O 0.323 0.065 10.789
```

Values from the calculation:
* size of the total moment: 2.002 μB per formula unit

---

two.
Li7Co5O12 | GGA+U | optimized geometry Values from VASP.

The structure in Quantum ESPRESSO input format:
```
&SYSTEM
  ibrav = 0, nat = 24, ntyp = 3
/
ATOMIC_SPECIES
Li 6.94 Li.upf
Co 58.93 Co.upf
O 16.00 O.upf
CELL_PARAMETERS angstrom
-5.184 -0.826 2.203
-0.673 -2.014 -6.045
4.504 -4.237 1.716
ATOMIC_POSITIONS angstrom
Li -1.700 -2.730 2.513
Li -3.601 -2.695 -2.166
Li -1.020 -2.262 -3.228
Li 0.347 -4.347 -4.639
Li -2.592 -0.413 1.102
Li -0.333 -4.815 1.102
Li 2.249 -4.382 0.040
Co -1.337 -2.458 -0.316
Co 2.550 -4.175 -2.885
Co 0.000 0.000 0.000
Co -0.015 -4.619 -1.809
Co -3.903 -2.902 0.759
O -3.510 -1.790 2.264
O -2.182 -3.786 0.784
O -0.793 -1.394 1.068
O 0.366 -3.402 -0.338
O -1.719 -3.675 -1.788
O 2.157 -5.287 -4.389
O 0.829 -3.291 -2.910
O 1.667 -5.366 -1.673
O -3.020 -1.711 -0.452
O -0.559 -5.683 -3.193
O -0.909 -5.898 -0.648
O -0.444 -1.179 -1.478
```

---

What should be chosen as the least stable of them? Choose one.

---

one.
Li7Co5O12 | GGA+U | optimized geometry Values from VASP.

The structure in Quantum ESPRESSO input format:
```
&SYSTEM
  ibrav = 0, nat = 48, ntyp = 3
/
ATOMIC_SPECIES
O 16.00 O.upf
Co 58.93 Co.upf
Li 6.94 Li.upf
CELL_PARAMETERS angstrom
4.921 0.027 -0.618
-0.682 6.342 7.210
0.711 -6.341 5.664
ATOMIC_POSITIONS angstrom
O 2.536 5.553 6.112
O 3.806 3.846 3.922
O 2.991 1.533 9.704
O 2.175 -3.413 4.253
O 3.032 1.504 3.278
O 3.367 -2.792 7.136
O 4.533 -2.457 3.072
O 0.920 -1.726 6.450
O 4.903 -4.530 4.993
O 4.316 -0.314 7.632
O 0.385 2.437 2.752
O 1.722 0.612 0.667
O 0.521 0.332 11.039
O 2.055 -1.361 8.868
O 1.741 0.618 7.089
O 0.501 0.356 4.603
O 4.300 -0.358 1.186
O 3.254 -0.779 5.329
O 4.208 1.804 5.752
O 1.397 2.913 5.066
O 0.179 4.605 7.303
O 2.090 -1.385 2.458
O 0.414 2.497 9.177
O 2.623 3.528 7.911
Co 2.819 -3.184 2.548
Co 0.026 0.000 6.431
Co 0.237 -2.113 1.888
Co 2.601 -1.010 7.036
Co 0.267 -2.123 8.331
Co 2.575 -1.015 0.611
Co -0.206 2.107 10.993
Co 4.690 2.108 3.968
Co 2.106 3.174 3.312
Co 5.630 -6.305 5.039
Li 2.371 1.072 11.620
Li 3.260 3.660 5.853
Li 1.662 -3.734 6.303
Li 1.211 0.554 9.113
........
_Here the entry continues_
I have done some test-work on printconf package with Polish translation. When I added the po.pl and then tried to commit all I got was:
#> cd printconf/po/ #> cvs add po.pl
It is just that you added the wrong file, it should be "pl.po" instead of "po.pl".
at first i thought 'can there be anyone more stupid than I?' but then i checked it and i DID give the proper 'pl.po', just in the e-mail I got it misspelled. still the problem remains, what is that misterious 'Attic/'?
#> cvs ci -m "some comments" Testing pl.po... **** Access allowed: blasiu is in ACL for printconf/po. cvs server: failed to move `/usr/local/CVS/printconf/po/Attic/pl.po,v' out of the attic: Permission denied
A liitle late, but thanks Bill for your effort. Unfortunately I still get the same message. Could you do some magic once again? :]
regards, Przemek
On Wed, 14 Apr 2004 14:40:29 -0400, Bill Nottingham notting@redhat.com wrote:
#> cvs ci -m "some comments" Testing pl.po... **** Access allowed: blasiu is in ACL for printconf/po. cvs server: failed to move `/usr/local/CVS/printconf/po/Attic/pl.po,v' out of the attic: Permission denied
Hm, try now.
Now it works perfectly, I knew you'd do some magic :]
Thanks, Przemek
On Wed, 14 Apr 2004 14:40:29 -0400, Bill Nottingham notting@redhat.com wrote:
#> cvs ci -m "some comments" Testing pl.po... **** Access allowed: blasiu is in ACL for printconf/po. cvs server: failed to move `/usr/local/CVS/printconf/po/Attic/pl.po,v' out of the attic: Permission denied
Hm, try now.